## Request
Could you copy everything further below exactly?

## Excerpt
+++
No. 1
HoTiOsPd: computed powder X-ray diffraction pattern (λ = 1.5418 Å (Cu Kα)), based on DFT lattice parameters and positions (GGA-PBE).

Peak list (6 most intense, 2θ from 10° to 90°, sorted by position)
- 2θ 23.5, I 179
- 2θ 38.8, I 1000
- 2θ 45.9, I 98
- 2θ 56.0, I 171
- 2θ 70.3, I 344
- 2θ 83.3, I 110

Atomic structure:
```
data_HoTiOsPd
_chemical_formula_sum 'Ho1 Ti1 Os1 Pd1'
_cell_length_a 4.6410
_cell_length_b 4.6410
_cell_length_c 4.6410
_cell_angle_alpha 60.00
_cell_angle_beta 60.00
_cell_angle_gamma 60.00
_space_group_name_H-M_alt 'P 1'
_space_group_IT_number 1
_space_group_name_Hall 'P 1'
loop_
_atom_site_label
_atom_site_fract_x
_atom_site_fract_y
_atom_site_fract_z
_atom_site_occupancy
Ho1 0.0000 0.0000 0.0000 1
Ti1 0.5000 0.5000 0.5000 1
Os1 0.7500 0.7500 0.7500 1
Pd1 0.2500 0.2500 0.2500 1
```


No. 2
Cs3NaCo2Cl8: computed powder X-ray diffraction pattern (λ = 1.5418 Å (Cu Kα)), based on DFT lattice parameters and positions (GGA-PBE).

Peak list (6 most intense, 2θ from 10° to 90°, sorted by position)
- 2θ 23.0, I 558
- 2θ 23.9, I 1000
- 2θ 27.7, I 355
- 2θ 29.2, I 388
- 2θ 33.4, I 660
- 2θ 48.9, I 309

Atomic structure:
```
data_Cs3NaCo2Cl8
_chemical_formula_sum 'Cs3 Na1 Co2 Cl8'
_cell_length_a 7.4533
_cell_length_b 7.4533
_cell_length_c 9.6645
_cell_angle_alpha 90.00
_cell_angle_beta 90.00
_cell_angle_gamma 120.00
_space_group_name_H-M_alt 'P 1'
_space_group_IT_number 1
_space_group_name_Hall 'P 1'
loop_
_atom_site_label
_atom_site_fract_x
_atom_site_fract_y
_atom_site_fract_z
_atom_site_occupancy
Cs1 0.0000 0.0000 0.0000 1
Cs2 0.3333 0.6667 0.6488 1
Cs3 0.6667 0.3333 0.3512 1
Na1 0.0000 0.0000 0.5000 1
Co1 0.3333 0.6667 0.2292 1
Co2 0.6667 0.3333 0.7708 1
Cl1 0.1702 0.3404 0.3183 1
Cl2 0.1702 0.8298 0.3183 1
Cl3 0.3333 0.6667 0.0003 1
Cl4 0.3404 0.1702 0.6817 1
Cl5 0.6596 0.8298 0.3183 1
Cl6 0.6667 0.3333 0.9997 1
Cl7 0.8298 0.1702 0.6817 1
Cl8 0.8298 0.6596 0.6817 1
```


No. 3
La4CuO8: computed powder X-ray diffraction pattern (λ = 1.5418 Å (Cu Kα)), based on DFT lattice parameters and positions (GGA-PBE).

Peak list (6 most intense, 2θ from 10° to 90°, sorted by position)
- 2θ 24.7, I 613
- 2θ 31.5, I 1000
- 2θ 33.8, I 753
- 2θ 44.1, I 531
- 2θ 48.6, I 383
- 2θ 59.1, I 347

Atomic structure:
```
data_La4CuO8
_chemical_formula_sum 'La4 Cu1 O8'
_cell_length_a 7.0324
_cell_length_b 7.0324
_cell_length_c 5.2968
_cell_angle_alpha 90.00
_cell_angle_beta 90.00
_cell_angle_gamma 135.76
_space_group_name_H-M_alt 'P 1'
_space_group_IT_number 1
_space_group_name_Hall 'P 1'
loop_
_atom_site_label
_atom_site_fract_x
_atom_site_fract_y
_atom_site_fract_z
_atom_site_occupancy
La1 0.1342 0.8658 0.0000 1
La2 0.3640 0.6360 0.5000 1
La3 0.6360 0.3640 0.5000 1
La4 0.8658 0.1342 0.0000 1
Cu1 0.5000 0.5000 0.0000 1
O1 0.1865 0.8135 0.5000 1
+++

## Result
No. 1
HoTiOsPd: computed powder X-ray diffraction pattern (λ = 1.5418 Å (Cu Kα)), based on DFT lattice parameters and positions (GGA-PBE).

Peak list (6 most intense, 2θ from 10° to 90°, sorted by position)
- 2θ 23.5, I 179
- 2θ 38.8, I 1000
- 2θ 45.9, I 98
- 2θ 56.0, I 171
- 2θ 70.3, I 344
- 2θ 83.3, I 110

Atomic structure:
```
data_HoTiOsPd
_chemical_formula_sum 'Ho1 Ti1 Os1 Pd1'
_cell_length_a 4.6410
_cell_length_b 4.6410
_cell_length_c 4.6410
_cell_angle_alpha 60.00
_cell_angle_beta 60.00
_cell_angle_gamma 60.00
_space_group_name_H-M_alt 'P 1'
_space_group_IT_number 1
_space_group_name_Hall 'P 1'
loop_
_atom_site_label
_atom_site_fract_x
_atom_site_fract_y
_atom_site_fract_z
_atom_site_occupancy
Ho1 0.0000 0.0000 0.0000 1
Ti1 0.5000 0.5000 0.5000 1
Os1 0.7500 0.7500 0.7500 1
Pd1 0.2500 0.2500 0.2500 1
```


No. 2
Cs3NaCo2Cl8: computed powder X-ray diffraction pattern (λ = 1.5418 Å (Cu Kα)), based on DFT lattice parameters and positions (GGA-PBE).

Peak list (6 most intense, 2θ from 10° to 90°, sorted by position)
- 2θ 23.0, I 558
- 2θ 23.9, I 1000
- 2θ 27.7, I 355
- 2θ 29.2, I 388
- 2θ 33.4, I 660
- 2θ 48.9, I 309

Atomic structure:
```
data_Cs3NaCo2Cl8
_chemical_formula_sum 'Cs3 Na1 Co2 Cl8'
_cell_length_a 7.4533
_cell_length_b 7.4533
_cell_length_c 9.6645
_cell_angle_alpha 90.00
_cell_angle_beta 90.00
_cell_angle_gamma 120.00
_space_group_name_H-M_alt 'P 1'
_space_group_IT_number 1
_space_group_name_Hall 'P 1'
loop_
_atom_site_label
_atom_site_fract_x
_atom_site_fract_y
_atom_site_fract_z
_atom_site_occupancy
Cs1 0.0000 0.0000 0.0000 1
Cs2 0.3333 0.6667 0.6488 1
Cs3 0.6667 0.3333 0.3512 1
Na1 0.0000 0.0000 0.5000 1
Co1 0.3333 0.6667 0.2292 1
Co2 0.6667 0.3333 0.7708 1
Cl1 0.1702 0.3404 0.3183 1
Cl2 0.1702 0.8298 0.3183 1
Cl3 0.3333 0.6667 0.0003 1
Cl4 0.3404 0.1702 0.6817 1
Cl5 0.6596 0.8298 0.3183 1
Cl6 0.6667 0.3333 0.9997 1
Cl7 0.8298 0.1702 0.6817 1
Cl8 0.8298 0.6596 0.6817 1
```


No. 3
La4CuO8: computed powder X-ray diffraction pattern (λ = 1.5418 Å (Cu Kα)), based on DFT lattice parameters and positions (GGA-PBE).

Peak list (6 most intense, 2θ from 10° to 90°, sorted by position)
- 2θ 24.7, I 613
- 2θ 31.5, I 1000
- 2θ 33.8, I 753
- 2θ 44.1, I 531
- 2θ 48.6, I 383
- 2θ 59.1, I 347

Atomic structure:
```
data_La4CuO8
_chemical_formula_sum 'La4 Cu1 O8'
_cell_length_a 7.0324
_cell_length_b 7.0324
_cell_length_c 5.2968
_cell_angle_alpha 90.00
_cell_angle_beta 90.00
_cell_angle_gamma 135.76
_space_group_name_H-M_alt 'P 1'
_space_group_IT_number 1
_space_group_name_Hall 'P 1'
loop_
_atom_site_label
_atom_site_fract_x
_atom_site_fract_y
_atom_site_fract_z
_atom_site_occupancy
La1 0.1342 0.8658 0.0000 1
La2 0.3640 0.6360 0.5000 1
La3 0.6360 0.3640 0.5000 1
La4 0.8658 0.1342 0.0000 1
Cu1 0.5000 0.5000 0.0000 1
O1 0.1865 0.8135 0.5000 1